What to do =
Your job: return the whole of the contents underneath character by character.
Input =
<<<
No. 1
Below is a geometry-optimized BaCaCeFeO6 structure, with properties calculated at the PBE+U level.

Cell: 5.895 5.895 5.895 Å, 60.00 60.00 60.00°
Sites, in units of the cell vectors:
Ba1 0.000 0.000 0.000
Ca1 0.500 0.500 0.500
Ce1 0.750 0.750 0.750
Fe1 0.250 0.250 0.250
O1 0.013 0.013 0.487
O2 0.013 0.487 0.013
O3 0.013 0.487 0.487
O4 0.487 0.013 0.013
O5 0.487 0.013 0.487
O6 0.487 0.487 0.013

No. 2
Below is a geometry-optimized BaCaCoF7 structure, with properties calculated at the PBE+U level.

Cell: 5.819 10.438 9.944 Å, 90.00 92.94 90.00°
Sites, in units of the cell vectors:
Ba1 0.230 0.174 0.495
Ba2 0.230 0.326 0.995
Ba3 0.770 0.674 0.005
Ba4 0.770 0.826 0.505
Ca1 0.205 0.591 0.321
Ca2 0.205 0.909 0.821
Ca3 0.795 0.091 0.179
Ca4 0.795 0.409 0.679
Co1 0.310 0.620 0.692
Co2 0.310 0.880 0.192
Co3 0.690 0.120 0.808
Co4 0.690 0.380 0.308
F1 0.031 0.706 0.758
F2 0.031 0.794 0.258
F3 0.113 0.540 0.115
F4 0.113 0.960 0.615
F5 0.158 0.038 0.131
F6 0.158 0.462 0.631
F7 0.222 0.701 0.524
F8 0.222 0.799 0.024
F9 0.401 0.542 0.854
F10 0.401 0.958 0.354
F11 0.403 0.080 0.892
F12 0.403 0.420 0.392
F13 0.488 0.726 0.256
F14 0.488 0.774 0.756
F15 0.512 0.226 0.244
F16 0.512 0.274 0.744
F17 0.597 0.580 0.608
F18 0.597 0.920 0.108
F19 0.599 0.042 0.646
F20 0.599 0.458 0.146
F21 0.778 0.201 0.976
F22 0.778 0.299 0.476
F23 0.842 0.538 0.369
F24 0.842 0.962 0.869
F25 0.887 0.040 0.385
F26 0.887 0.460 0.885
F27 0.969 0.206 0.742
F28 0.969 0.294 0.242

No. 3
Below is a geometry-optimized Ba2CaFe2CoF14 structure, with properties calculated at the PBE+U level.

Cell: 7.473 7.473 15.075 Å, 91.19 91.19 42.63°
Sites, in units of the cell vectors:
Ba1 0.145 0.239 0.120
Ba2 0.239 0.145 0.620
Ba3 0.761 0.855 0.380
Ba4 0.855 0.761 0.880
Ca1 0.442 0.558 0.250
Ca2 0.558 0.442 0.750
Fe1 0.111 0.124 0.377
Fe2 0.124 0.111 0.877
Fe3 0.876 0.889 0.123
Fe4 0.889 0.876 0.623
Co1 0.500 0.500 0.000
Co2 0.500 0.500 0.500
F1 0.047 0.629 0.222
F2 0.077 0.901 0.342
F3 0.099 0.923 0.158
F4 0.105 0.731 0.516
F5 0.161 0.589 0.703
F6 0.171 0.579 0.048
F7 0.194 0.307 0.414
F8 0.269 0.895 0.984
F9 0.307 0.194 0.914
F10 0.362 0.526 0.881
F11 0.371 0.953 0.278
F12 0.411 0.839 0.797
F13 0.421 0.829 0.452
F14 0.474 0.638 0.619
F15 0.526 0.362 0.381
F16 0.579 0.171 0.548
F17 0.589 0.161 0.203
F18 0.629 0.047 0.722
F19 0.638 0.474 0.119
F20 0.693 0.806 0.086
F21 0.731 0.105 0.016
F22 0.806 0.693 0.586
F23 0.829 0.421 0.952
F24 0.839 0.411 0.297
F25 0.895 0.269 0.484
F26 0.901 0.077 0.842
F27 0.923 0.099 0.658
F28 0.953 0.371 0.778

No. 4
Below is a geometry-optimized Ba2CaV2CoF14 structure, with properties calculated at the PBE+U level.

Cell: 7.469 7.469 15.265 Å, 91.10 91.10 42.63°
Sites, in units of the cell vectors:
Ba1 0.143 0.238 0.121
Ba2 0.238 0.143 0.621
Ba3 0.762 0.857 0.379
Ba4 0.857 0.762 0.879
Ca1 0.441 0.559 0.250
Ca2 0.559 0.441 0.750
V1 0.112 0.124 0.377
V2 0.124 0.112 0.877
V3 0.876 0.888 0.123
V4 0.888 0.876 0.623
Co1 0.500 0.500 0.000
Co2 0.500 0.500 0.500
F1 0.046 0.628 0.223
F2 0.074 0.904 0.341
F3 0.096 0.926 0.159
F4 0.113 0.724 0.514
F5 0.162 0.586 0.701
F6 0.171 0.584 0.047
F7 0.193 0.306 0.416
F8 0.276 0.887 0.986
F9 0.306 0.193 0.916
F10 0.362 0.523 0.878
F11 0.372 0.954 0.277
F12 0.414 0.838 0.799
F13 0.416 0.829 0.453
F14 0.477 0.638 0.622
F15 0.523 0.362 0.378
F16 0.584 0.171 0.547
F17 0.586 0.162 0.201
F18 0.628 0.046 0.723
F19 0.638 0.477 0.122
F20 0.694 0.807 0.084
F21 0.724 0.113 0.014
F22 0.807 0.694 0.584
F23 0.829 0.416 0.953
F24 0.838 0.414 0.299
F25 0.887 0.276 0.486
F26 0.904 0.074 0.841
F27 0.926 0.096 0.659
F28 0.954 0.372 0.777

No. 5
Below is a geometry-optimized BaCaFe2Co2O7 structure, with properties calculated at the PBE+U level.

Cell: 6.417 6.417 10.395 Å, 90.02 90.02 60.32°
Sites, in units of the cell vectors:
Ba1 0.000 0.000 0.000
Ba2 0.674 0.674 0.507
Ca1 0.002 0.002 0.368
Ca2 0.671 0.671 0.868
Fe1 0.338 0.338 0.434
Fe2 0.338 0.338 0.931
Fe3 0.507 0.999 0.181
Fe4 0.999 0.507 0.181
Co1 0.165 0.677 0.680
>>>
Done =
No. 1
Below is a geometry-optimized BaCaCeFeO6 structure, with properties calculated at the PBE+U level.

Cell: 5.895 5.895 5.895 Å, 60.00 60.00 60.00°
Sites, in units of the cell vectors:
Ba1 0.000 0.000 0.000
Ca1 0.500 0.500 0.500
Ce1 0.750 0.750 0.750
Fe1 0.250 0.250 0.250
O1 0.013 0.013 0.487
O2 0.013 0.487 0.013
O3 0.013 0.487 0.487
O4 0.487 0.013 0.013
O5 0.487 0.013 0.487
O6 0.487 0.487 0.013

No. 2
Below is a geometry-optimized BaCaCoF7 structure, with properties calculated at the PBE+U level.

Cell: 5.819 10.438 9.944 Å, 90.00 92.94 90.00°
Sites, in units of the cell vectors:
Ba1 0.230 0.174 0.495
Ba2 0.230 0.326 0.995
Ba3 0.770 0.674 0.005
Ba4 0.770 0.826 0.505
Ca1 0.205 0.591 0.321
Ca2 0.205 0.909 0.821
Ca3 0.795 0.091 0.179
Ca4 0.795 0.409 0.679
Co1 0.310 0.620 0.692
Co2 0.310 0.880 0.192
Co3 0.690 0.120 0.808
Co4 0.690 0.380 0.308
F1 0.031 0.706 0.758
F2 0.031 0.794 0.258
F3 0.113 0.540 0.115
F4 0.113 0.960 0.615
F5 0.158 0.038 0.131
F6 0.158 0.462 0.631
F7 0.222 0.701 0.524
F8 0.222 0.799 0.024
F9 0.401 0.542 0.854
F10 0.401 0.958 0.354
F11 0.403 0.080 0.892
F12 0.403 0.420 0.392
F13 0.488 0.726 0.256
F14 0.488 0.774 0.756
F15 0.512 0.226 0.244
F16 0.512 0.274 0.744
F17 0.597 0.580 0.608
F18 0.597 0.920 0.108
F19 0.599 0.042 0.646
F20 0.599 0.458 0.146
F21 0.778 0.201 0.976
F22 0.778 0.299 0.476
F23 0.842 0.538 0.369
F24 0.842 0.962 0.869
F25 0.887 0.040 0.385
F26 0.887 0.460 0.885
F27 0.969 0.206 0.742
F28 0.969 0.294 0.242

No. 3
Below is a geometry-optimized Ba2CaFe2CoF14 structure, with properties calculated at the PBE+U level.

Cell: 7.473 7.473 15.075 Å, 91.19 91.19 42.63°
Sites, in units of the cell vectors:
Ba1 0.145 0.239 0.120
Ba2 0.239 0.145 0.620
Ba3 0.761 0.855 0.380
Ba4 0.855 0.761 0.880
Ca1 0.442 0.558 0.250
Ca2 0.558 0.442 0.750
Fe1 0.111 0.124 0.377
Fe2 0.124 0.111 0.877
Fe3 0.876 0.889 0.123
Fe4 0.889 0.876 0.623
Co1 0.500 0.500 0.000
Co2 0.500 0.500 0.500
F1 0.047 0.629 0.222
F2 0.077 0.901 0.342
F3 0.099 0.923 0.158
F4 0.105 0.731 0.516
F5 0.161 0.589 0.703
F6 0.171 0.579 0.048
F7 0.194 0.307 0.414
F8 0.269 0.895 0.984
F9 0.307 0.194 0.914
F10 0.362 0.526 0.881
F11 0.371 0.953 0.278
F12 0.411 0.839 0.797
F13 0.421 0.829 0.452
F14 0.474 0.638 0.619
F15 0.526 0.362 0.381
F16 0.579 0.171 0.548
F17 0.589 0.161 0.203
F18 0.629 0.047 0.722
F19 0.638 0.474 0.119
F20 0.693 0.806 0.086
F21 0.731 0.105 0.016
F22 0.806 0.693 0.586
F23 0.829 0.421 0.952
F24 0.839 0.411 0.297
F25 0.895 0.269 0.484
F26 0.901 0.077 0.842
F27 0.923 0.099 0.658
F28 0.953 0.371 0.778

No. 4
Below is a geometry-optimized Ba2CaV2CoF14 structure, with properties calculated at the PBE+U level.

Cell: 7.469 7.469 15.265 Å, 91.10 91.10 42.63°
Sites, in units of the cell vectors:
Ba1 0.143 0.238 0.121
Ba2 0.238 0.143 0.621
Ba3 0.762 0.857 0.379
Ba4 0.857 0.762 0.879
Ca1 0.441 0.559 0.250
Ca2 0.559 0.441 0.750
V1 0.112 0.124 0.377
V2 0.124 0.112 0.877
V3 0.876 0.888 0.123
V4 0.888 0.876 0.623
Co1 0.500 0.500 0.000
Co2 0.500 0.500 0.500
F1 0.046 0.628 0.223
F2 0.074 0.904 0.341
F3 0.096 0.926 0.159
F4 0.113 0.724 0.514
F5 0.162 0.586 0.701
F6 0.171 0.584 0.047
F7 0.193 0.306 0.416
F8 0.276 0.887 0.986
F9 0.306 0.193 0.916
F10 0.362 0.523 0.878
F11 0.372 0.954 0.277
F12 0.414 0.838 0.799
F13 0.416 0.829 0.453
F14 0.477 0.638 0.622
F15 0.523 0.362 0.378
F16 0.584 0.171 0.547
F17 0.586 0.162 0.201
F18 0.628 0.046 0.723
F19 0.638 0.477 0.122
F20 0.694 0.807 0.084
F21 0.724 0.113 0.014
F22 0.807 0.694 0.584
F23 0.829 0.416 0.953
F24 0.838 0.414 0.299
F25 0.887 0.276 0.486
F26 0.904 0.074 0.841
F27 0.926 0.096 0.659
F28 0.954 0.372 0.777

No. 5
Below is a geometry-optimized BaCaFe2Co2O7 structure, with properties calculated at the PBE+U level.

Cell: 6.417 6.417 10.395 Å, 90.02 90.02 60.32°
Sites, in units of the cell vectors:
Ba1 0.000 0.000 0.000
Ba2 0.674 0.674 0.507
Ca1 0.002 0.002 0.368
Ca2 0.671 0.671 0.868
Fe1 0.338 0.338 0.434
Fe2 0.338 0.338 0.931
Fe3 0.507 0.999 0.181
Fe4 0.999 0.507 0.181
Co1 0.165 0.677 0.680